Metropolitan Germanos of Thyateira

—by Grigorios Liantas
The Metropolitan of Thyateira Germanos Strinopoulos 1 was born in 1872 in the village of Delliones in Eastern Thrace (Greece). He studied philosophy and theology at the Theological School of Halki and the Universities of Leipzig, Strasbourg and Lausanne. In 1903 he received a doctorate from the University of Leipzig. He was professor and School Principal of the Theological School of Halki until 1922. In 1912 he was elected Metropolitan of Seleucia, and in 1922, during the tenure of Patriarch Meletius the IV, (Metaxakis), he was elected Metropolitan of Thyateira, based in London.
In 1939 he was one of three fellow candidates at the election of the Patriarch of Alexandria. Metropolitan Thyateira Germanos, apart from teaching in Halki and his tenure at the Metropolis of Thyateira, worked intensively in the field of inter-Orthodox and inter-Christian relations and also as a prolific writer.2
Contribution to the promotion of ecumenical and inter-Christian relations
The contribution of Metropolitan Germanos in the inter-Christian relations has been of great importance. He effectively promoted relationship between Orthodox and Anglicans and Orthodox and Old Catholics in the decade 1920-1930.3
He motivated and embodied the path toward the right direction of the relationship with other Christian Churches and the ecumenical movement, which the Ecumenical Patriarchate followed at the time. The name of the Germanos Strinopoulos is closely related to the history of the ecumenical movement, at least on the part of the Orthodox participation and cooperation. Indeed, he is placed among the pioneers of this movement and among the most senior of the Ecumenist figures.4 He joined the ecumenical movement in 1920, through the faculty club of Halki, acquiring an active role and participation in the drafting of the “Synodical Encyclical Letter of the Church of Constantinople to the Worldwide Churches of Christ (1920),” and he participated in all the global inter-Christian conferences which contributed to the founding of the World Council of Churches (WCC). He has been a member of the Committee of Fourteen, which paved the way for the merging of the movements “Faith and Order” and “Life and Work” into the World Council of Churches.5 During the same period, Germanos actively participated in the Movement as a representative of the Ecumenical Patriarchate and President of the Orthodox delegations.
What is striking, however, is that the Church of Constantinople, which, at the beginning of the century, especially with 1920 Encyclical Letter, played the leading part in the whole affair of Christian Unity, in the World Conferences “Faith and Order” and “Life and Work”, which took place between 1925 and 1937, did not send any offi cial representative, coming directly from the Phanar. In all these conferences, the Ecumenical Patriarchate was represented by officials who ministered in the diaspora, led by the Metropolitan of Thyateira Germanos.6
Participation in ecumenical meetings and consultations
Participation in ecumenical meetings and consultations Metropolitan Germanos attended the Faith and Order conferences in Geneva (1920), Lausanne (1927) and Edinburgh (1937); the Life and Work conferences in Geneva (1920), Stockholm (1925) and Oxford (1937); the conferences of the World Federation of International Friendship through the Churches in the beginning of the WCC from 1938 onwards and the First General Assembly of the WCC in Amsterdam (1948), where he was elected as one of the six presidents of the Council.7
Theological contribution
In Metropolitan of Thyateira Germanos, the Patriarchate had an excellent spokesman of the ecclesiastical tradition of Phanar, but also the most appropriate interlocutor on ecumenical issues, as he himself was the one who had a leading role in drafting the 1920 Encyclical Letter and was a preeminent expert on the issue of the union of Churches.
Metropolitan of Thyateira Germanos, because of his many pursuits, never issued independent major writings. He left, nevertheless, many valuable treatises, over 100, in journals and collected volumes referring to Anglican society, the ecumenical movement and inter-Christian relations.8
For his contribution and his work he was honored with the title of Doctor of Theology from the universities of Oxford, New York and Athens. The WCC dedicated a private hall in his honor at the ecumenical center of Geneva.9
Metropolitan of Thyateira Germanos,10 a representative of the Ecumenical Patriarchate at the ecumenical meetings and consultations which convened between 1920 and 1938 and resulted in the foundation of the WCC, played a leading role in the Ecumenical Movement. Therefore he is rightly regarded as one of its eminent pioneers. His constant concern was to provide the Orthodox witness to the various phases of the ecumenical developments, as well as to be vigilant that the WCC will be shaped on the spirit and principles expressed by the 1920 Encyclical Letter.
- John Karmiris, The Dogmatic and Symbolic Monuments of the Orthodox Catholic Church, volumes I-II, (Graz, 1968)
- Basilios Stavridis, The Holy Theological School of Halki, (Thessaloniki: Kyriakidis, 1988) (in Greek)
- Basilios Stavridis, Bibliography of the Ecumenical Movement 1960 - 1970 (Athens: 1972) (in Greek)
- Basilios Stavridis – Evagelia Varella History of the Ecumenical Movement, (Patriarchal Foundation for Patristic Studies: Thessaloniki, 1996) (in Greek)
- George Tsetsis, Ecumenical Annals, (Tertios: Katerini, 1987) (in Greek)
- George Tsetsis, The contribution of the Ecumenical Patriarchate in the foundation of the WCC, (Tertios: Katerini, 1988) (in Greek)
Source: Pantelis Kalaitzidis et al., eds., Orthodox Handbook on Ecumenism: Resources for Theological Education (Volos GR: Volos Academy Publications; Geneva: WCC Publications; Oxford: Regnum Books, 2014). Numbers in square brackets [xxx] are the original page numbers.
- 1. George Tsetsis, The contribution of Ecumenical Patriarchate in the foundation of WCC (Katerini: Tertios, 1988), 277-
278 (in Greek). - 2. Vasilios Stavridis, The Holy Theological School of Halki (Kyriakidis: Thessaloniki, 1988), 130 (in Greek).
- 3. Ibid., 131-132.
- 4. Ibid.
What comes next are records of crystals, not part of the piece:
********
Record 1
{"formula": "Tm9Fe10Ge10", "functional": "meta-GGA SCAN", "state": "single point on PBEsol structure", "cell": [[-2.624, 6.515, 6.861], [2.624, -6.515, 6.861], [2.624, 6.515, -6.861]], "species": ["Tm", "Tm", "Tm", "Tm", "Tm", "Tm", "Tm", "Tm", "Tm", "Fe", "Fe", "Fe", "Fe", "Fe", "Fe", "Fe", "Fe", "Fe", "Fe", "Ge", "Ge", "Ge", "Ge", "Ge", "Ge", "Ge", "Ge", "Ge", "Ge"], "frac_coords": [[0.000, 0.000, 0.000], [0.218, 0.365, 0.853], [0.278, 0.000, 0.278], [0.302, 0.802, 0.500], [0.488, 0.635, 0.853], [0.512, 0.365, 0.147], [0.698, 0.198, 0.500], [0.722, 0.000, 0.722], [0.782, 0.635, 0.147], [0.011, 0.411, 0.113], [0.011, 0.898, 0.601], [0.094, 0.594, 0.500], [0.297, 0.411, 0.399], [0.297, 0.898, 0.887], [0.703, 0.102, 0.113], [0.703, 0.589, 0.601], [0.906, 0.406, 0.500], [0.989, 0.102, 0.399], [0.989, 0.589, 0.887], [0.082, 0.794, 0.288], [0.170, 0.500, 0.670], [0.208, 0.208, 0.000], [0.493, 0.206, 0.288], [0.500, 0.247, 0.747], [0.500, 0.753, 0.253], [0.507, 0.794, 0.712], [0.792, 0.792, 0.000], [0.830, 0.500, 0.330], [0.918, 0.206, 0.712]], "vol_a3_per_cell": 469.1, "ef_ev_per_atom": -0.589, "sg": "Immm, No. 71"}



Record 2
{"formula": "TmFe2Ge2", "functional": "meta-GGA SCAN", "state": "single point on PBEsol structure", "cell": [[-1.952, 1.952, 4.958], [1.952, -1.952, 4.958], [1.952, 1.952, -4.958]], "species": ["Tm", "Fe", "Fe", "Ge", "Ge"], "frac_coords": [[0.000, 0.000, 0.000], [0.250, 0.750, 0.500], [0.750, 0.250, 0.500], [0.373, 0.373, 0.000], [0.627, 0.627, 0.000]], "vol_a3_per_cell": 75.5, "ef_ev_per_atom": -0.433, "sg": "I4/mmm, No. 139"}



Record 3
{"formula": "Tm3Fe4Ge4", "functional": "meta-GGA SCAN", "state": "single point on PBEsol structure", "cell": [[-2.029, 3.312, 6.547], [2.029, -3.312, 6.547], [2.029, 3.312, -6.547]], "species": ["Tm", "Tm", "Tm", "Fe", "Fe", "Fe", "Fe", "Ge", "Ge", "Ge", "Ge"], "frac_coords": [[0.000, 0.000, 0.000], [0.373, 0.873, 0.500], [0.627, 0.127, 0.500], [0.005, 0.322, 0.683], [0.360, 0.678, 0.683], [0.640, 0.322, 0.317], [0.995, 0.678, 0.317], [0.222, 0.222, 0.000], [0.303, 0.500, 0.803], [0.697, 0.500, 0.197], [0.778, 0.778, 0.000]], "vol_a3_per_cell": 175.9, "ef_ev_per_atom": -0.547, "sg": "Immm, No. 71"}



Record 4
{"formula": "FeGeW2", "functional": "meta-GGA SCAN", "state": "single point on PBEsol structure", "cell": [[0.000, 3.032, 3.032], [3.032, 0.000, 3.032], [3.032, 3.032, 0.000]], "species": ["Fe", "Ge", "W", "W"], "frac_coords": [[0.000, 0.000, 0.000], [0.500, 0.500, 0.500], [0.250, 0.250, 0.250], [0.750, 0.750, 0.750]], "vol_a3_per_cell": 55.8, "ef_ev_per_atom": 0.241, "sg": "Fm-3m, No. 225"}



Record 5
********
- 5. George Tsetsis, The contribution, op. cit. 277-278.
- 6. Ibid.
- 7. Vasilios Stavridis, The Holy Theological School… op. cit., 132.
- 8. Ibid.
- 9. Ibid.
- 10. George Tsetsis, The contribution, op. cit., 195.